The Art of the Cookie, Dresses, and Frogs!

Working on resolution 2012-1 – using those cookbooks – again.  Seems however that I am drawn pretty exclusively to cookie cookbooks.  Noting that today’s dinner recipe came off the back of a box of lasagna noodles.

The most recent cookie was from The Art of the Cookie – and was a strawberry swirl, or at least that’s what I called it.  It started with their basic sugar cookie dough which is delicious and I put strawberry jam in the swirled part.  Unfortunately there is no picture of the finished project as we ate them all before I remembered to get the camera out.  Worth repeating, and of course we must repeat as I didn’t get the photo.  Here’s the book and the dough ready to be rolled out.

Let's roll

And just a side note, resolution 2012-2 was more charity work, and perhaps different charity work.  So, here’s a completed dress for a little girl in Africa.  It was the 3rd one I made and I have material for 2 more.  So 2012-2 is being worked on too!

_Between two parts of the text: materials data_
Crystalline Nd2B8O15 at its relaxed geometry. Source: the Materials Project database, functional PBE.

abc: 4.231 9.167 12.558
angles: 63.08 90.00 90.00
Element x y z (fractional)
1 O 0.122 0.860 0.736
2 O 0.258 0.974 0.078
3 O 0.189 0.337 0.041
4 O 0.124 0.428 0.661
5 O 0.370 0.440 0.412
6 O 0.645 0.000 0.750
7 O 0.258 0.026 0.422
8 O 0.742 0.026 0.922
9 O 0.876 0.428 0.161
10 O 0.620 0.277 0.737
11 O 0.380 0.277 0.237
12 O 0.189 0.663 0.459
13 O 0.124 0.572 0.839
14 O 0.776 0.716 0.121
15 O 0.878 0.140 0.264
16 O 0.355 0.000 0.250
17 O 0.742 0.974 0.578
18 O 0.370 0.560 0.088
19 O 0.224 0.716 0.621
20 O 0.878 0.860 0.236
21 O 0.224 0.284 0.879
22 O 0.876 0.572 0.339
23 O 0.380 0.723 0.263
24 O 0.811 0.337 0.541
25 O 0.122 0.140 0.764
26 O 0.630 0.440 0.912
27 O 0.620 0.723 0.763
28 O 0.811 0.663 0.959
29 O 0.776 0.284 0.379
30 O 0.630 0.560 0.588
31 Nd 0.740 0.141 0.053
32 Nd 0.740 0.859 0.447
33 Nd 0.260 0.141 0.553
34 Nd 0.260 0.859 0.947
35 B 0.216 0.106 0.296
36 B 0.292 0.588 0.585
37 B 0.216 0.894 0.204
38 B 0.216 0.594 0.374
39 B 0.216 0.406 0.126
40 B 0.708 0.588 0.085
41 B 0.784 0.894 0.704
42 B 0.270 0.717 0.734
43 B 0.784 0.406 0.626
44 B 0.292 0.412 0.915
45 B 0.730 0.283 0.266
46 B 0.708 0.412 0.415
47 B 0.784 0.106 0.796
48 B 0.730 0.717 0.234
49 B 0.784 0.594 0.874
50 B 0.270 0.283 0.766

Calculated values
* calculated total energy: -8.15 eV/atom
* symmetry: P2/c
* size of the total moment: 0.0 μB/f.u.
* formation enthalpy at 0 K: -70.9 kcal/mol of atoms

~~~~~

1.
A relaxed structure of Li21Si5. Source: Materials Project, functional PBE.

Unit cell a=18.5325 b=18.5325 c=18.5325 alpha=90.00 beta=90.00 gamma=90.00
Closest atoms and distances in Å follow each position.
Space group F-43m (No. 216)
One atom of each set of equivalent atoms:
Li: 0.0000 0.0000 0.1728  6 Li 2.61-2.91, 3 Si 2.76
Li: 0.0066 0.1610 0.1610  3 Si 2.62-2.85, 6 Li 2.65-2.90
Li: 0.0200 0.1548 0.6548  6 Li 2.65-2.82, 3 Si 2.66-2.92
Li: 0.0561 0.0561 0.0561  6 Li 2.61-2.90, 3 Si 2.72
Li: 0.0570 0.0570 0.5570  6 Li 2.65, 3 Si 2.70
Li: 0.0747 0.2500 0.2500  4 Li 2.65-2.66, 3 Si 2.68-2.84
Li: 0.0816 0.0816 0.4184  9 Li 2.65-2.90, 3 Si 2.79
Li: 0.0910 0.0910 0.2628  2 Si 2.62-2.63, 7 Li 2.77-2.91
Li: 0.0905 0.0905 0.7612  6 Li 2.44-2.67
Li: 0.1699 0.1699 0.8301  6 Li 2.44-2.70, 1 Si 2.72
Li: 0.1862 0.1862 0.6862  6 Li 2.70-2.87, 3 Si 2.72
Li: 0.1972 0.1972 0.3028  9 Li 2.66-2.88, 3 Si 2.82
Si: 0.0000 0.0000 0.3219  13 Li 2.62-2.92
Si: 0.0702 0.2500 0.7500  9 Li 2.66-2.80
Si: 0.0851 0.0851 0.9149  13 Li 2.62-2.85
Si: 0.1602 0.1602 0.1602  12 Li 2.63-2.85

Magnetization   0.1 Bohr magnetons per cell


2.
A relaxed structure of Li12Si7. Source: Materials Project, functional PBE.

Unit cell a=8.5312 b=19.6227 c=14.3127 alpha=90.00 beta=90.00 gamma=90.00
Closest atoms and distances in Å follow each position.
Space group Pnma (No. 62)
One atom of each set of equivalent atoms:
Li: 0.0037 0.1250 0.0276  3 Li 2.57-2.69, 4 Si 2.65-2.78

Little dress (#3) completed

And the NEWS OF THE DAY !!!!!!!!!!!!

Phinneas the frog is back out of hibernation sitting in his reeds on the back of the pond!!!


Resolution 2012-5 Get Real

So resolution # 5 for 2012 I named “Get Real”.  This mostly relates to all of my craft projects that are in some state of completion.  So, they are either being finished or “frogged” (as in the case of knitting — ripped out) or thrown away or given away for someone else to complete.  My quilt guild has a challenge contest to be completed in September of 2012.  Those interested in competing filled out a form listing names and descriptions of WIPs (Works In Progress) or UFOs (Un-Finished Objects) that they are committing to finish by our September meeting.  For every project on our list, the entry fee was a fat quarter of batik fabric.  And for every project we actually complete, we get an chance in the drawing for one of the baskets of batiks.  I signed up for seven, though I could have listed many more, and now I need to GET REAL and GET QUILTING!
In the same vein, I aired my yarn stash and cleaned the yarn closet, uncoveing some UFOs there too.  What gave me the idea for the resolution was a thing I started in 2011 that I called “Finish It Friday”.  I started only working on knitting UFOs on Friday and actually got quite a few of them finished last year.  So – the idea for the resolution was born and I have had a bit of success so far in 2012.

2012-5-1 quick and cozy cowl

This one had been languishing on the bottom of the knitting basket for over a year just waiting on my sewing on the two matching buttons.  That’s all it needed — just two buttons — just 10 minutes of time.  Make sense to you?  Me neither.  I sewed on the buttons, wore it the next day and had several people who commented on how pretty it was.  Here it is finished and being modeled by Cheeks the bear who models a lot of my completed projects for photos.

Cheeks modeling the cozy cowl

2012-5-2 This Old Sock

This is an even sadder story.  In 2003 I took knitting lessons over in Bedford Hills New York with a wonderful young teacher and at a great yarn store.  I really wanted to learn how to knit socks, so she started me on a pair using 2 circular needles.  I was also learning other things at the time and thought my sock wasn’t too good.  But I continued knitting until all I needed to do was graft the toe (a smooth seam).  I didn’t know how to do that and apparently the class ended before I learned.  Anyway, the project sunk to the bottom of a bag in the yarn closet never to be seen again until this year’s complete emptying of the yarn closet all over the living room floor.  I uncovered the unfinished first sock and the remainder of the ball of yarn.  I cast on the second sock and finished it in 3 weeks (I’m a much faster and better knitter now than I was 9 years ago).  So, this project took me NINE YEARS to finish.  But it’s done – and here are the photos to prove it.  The only good news hear is that there cannot be any knitting UFOs older than this because I only started knitting 9 years ago.

This old sock found
This Old Sock - complete!

Second sock syndrome – cured!  They aren’t really different sizes, the photo distorted the front one a bit.  Can’t wait to wear them, but will have to get the air cast of my left ankle first.  The cast is held on by velcro which wouldn’t be good for the just-finished-after-nine-years sock fabric!

But I consider that resolution 2012-5 Get Real is off to a good start.

And the yarn stash – dumped all over the floor on February 20th is now back in the closet.  Very organized.  More on this later but this was the result of resolution 2012-2 Get Organized or Else.  So, I’ve inventoried and organized the yarn stash, inventoried and organized the knitting needles, and inventoried (a bit) some of the quilting projects.  Much work remains to be done — but we’re only at the end of the first quarter of 2012.  YIKES! We’re at the end of the first quarter of 2012.

Chewy, Gooey, Crispy, Crunchy

New Year’s Resolutions – Number 1 – Day 1

So, I’m not one for New Year’s resolutions at the beginning of the new year, I usually reserve them for my birthday, look back at the year then, and make resolutions for what I want to accomplish before I become one year older.  These are usually fairly serious resolutions and not for public consumption.

So, I decided this year to work on some practical resolutions.  And for those of you worried that I will suddenly become a neat freak and start cleaning house more frequently — don’t worry.

Resolution 2012-1 involves my cookbook collection.  My cookbook collection is quite extensive and looks really good on the custom crafted bookshelves that were part of the 2011 kitchen remodel.  However, many of them have never been used — read, yes, but not used.  So, Resolution 2012-1 is to use my cookbook collection more and to keep track of what I cooked or baked and how we liked the results.  I do have a problem of trying a new recipe, declaring it a “keeper” and then not being able to find it when I want to recreate it.

Getting the new year off to a fast start, I have Almond Biscotti in the oven from the book Chewy, Gooey, Crispy, Crunch, a 2010 cookie cookbook that I ran into in my local book store, Books on the Common,  last year.


So far, so good — the almonds needed to be toasted and I didn’t burn them.  The dough needed to be 12″ by 4″ to bake and it easily molded to that shape.  So, they’re in the oven for the first baking and in 25 minutes, I’ll slice them and put them back in for the second baking.  Delayed gratification, this cookie is.  I’ll be putting them out to cool and headed to bed — taste testing reserved for tomorrow’s tea-time snack while watching the Rose Parade.  Speaking of which, what’s a new year going to turn out like when the Rose Parade is scheduled the DAY AFTER New Year’s Day?